
Stat 301 B -- Fall 2014 -- Final exam
15 December 2014
1. Please put your name on the back of the last page. I don’t want to see your name until I have
finished grading.
2. Read each question carefully and completely. Ask if you don’t understand something.
3. Answer each question and show work in the space provided. Scratch paper is provided for your
use, but I will only read and evaluate what you put in the answer spaces.
4. Use the JMP output. I am very happy to answer questions along the lines of ‘(You pointing to a
number on the JMP output) Is this the confidence interval for the regression slope?’.
There are 11o points of questions; you get 15 points for free.
Part I: Babies typically start to crawl when around 7 months old, but there is considerable individual
variability. The child development literature suggests the age that a baby first crawls depends on the air
temperature during development. Babies born in April tend to crawl at about 6½ months, while babies
born in September tend to crawl at almost 8 months. One suggested reason is that September babies
develop over the winter and so are often wrapped up in more clothes than April babies. The following
data were collected to evaluate whether development temperature is associated with the time to crawl.
120 babies were randomly selected from all births at a large metropolitan hospital such that there were
10 babies per birth month (10 in January, 10 in February, … 10 in December). The following variables
were collected:
temperature : average outdoor air temperature during each baby’s development
apgar: the apgar score of the newborn baby. This is a measure of health of the newborn. 10 is
fantastic, 9 is typical, and 3 or 4 indicates potential developmental issues.
weight: birth weight of the baby, in pounds.
length: length of baby at birth, in inches
gestation: gestation time (time from conception to birth), in weeks
The JMP output packet includes:
Model fit statistics for the best 4 models with 1, 2, 3, 4, and 5 variables.
Parameter estimates and additional information for selected models, including a model with:
Temperature only
Temperature, Apgar
Temperature, Apgar, Weight
Temperature, Apgar, Weight, Gestation
Temperature, Apgar, Weight, Length, Gestation
Error sums-of-squares for these models
Regression diagnostic plots for the model with temperature, apgar, weight, and length.
5 pts. You want to find the most appropriate set of variables to predict time-to-crawl. If you use AICc as
your criterion, which variables should be included in your model?
5 pts. A friend suggests that the two variable model using temperature and apgar makes good
predictions. Do you agree? Briefly explain why or why not.
5 pts. The five variable model, with temperature, apgar, weight, length, and gestation, has the highest
RSquare statistic (in the model fit table) and smallest Sum-of-Squared-Errors (not shown, but it is
the smallest). Will this model make the best predictions of new observations? Briefly explain why
or why not.
5 pts. You are specifically interested in the association of temperature and time-to-crawl. The other
four variables (apgar, weight, length, and gestation) are considered nuisance variables. You want to
evaluate the association of temperature and time-to-crawl after adjusting for an appropriate set of
nuisance variables. What nuisance variables should be included in your model? Briefly explain your
5 pts. What is the regression slope describing the relationship between temperature and time-to-crawl
after adjusting for your appropriate set of nuisance variables?
5 pts. What is the simple linear regression slope describing the relationship between temperature and
For the questions on this page, consider the model with temperature, apgar, weight, and length.
== Unrelated to this entry: calculated molecules ==
~~~
C41H46BrN7O5PSSc as an isolated structure in a non-equilibrium geometry. Source: the OMol25 dataset; level of theory: ωB97M-V with the def2-TZVPD basis set.

Results
HOMO energy ... -12.745 eV
Charge ... +2
Relative energy (zero: lowest compared OMol25 entry of this formula, charge and spin) ... 0.000 eV
Multiplicity ... 1
DFT total energy ... -174794.1631 eV
F_max ... 1.34 eV Å⁻¹

```
103
Properties=species:S:1:pos:R:3:lowdin_charge:R:1
Sc -0.22 0.10 0.36 1.055
O 1.15 0.39 -1.26 -0.360
S 2.35 0.05 -0.42 0.666
O 2.77 -1.31 -0.51 -0.251
N 1.71 0.48 0.98 -0.205
C 2.15 0.13 2.26 -0.235
C 3.45 -0.03 2.67 0.018
C 3.74 -0.30 4.02 -0.036
C 2.74 -0.39 4.95 -0.010
C 1.39 -0.25 4.55 -0.134
C 0.29 -0.35 5.44 0.036
C -0.98 -0.23 4.96 -0.018
C -1.18 -0.03 3.58 -0.088
N -0.19 0.07 2.72 0.057
C 1.10 -0.01 3.19 -0.143
C 3.70 1.11 -0.81 -0.292
C 4.87 0.55 -1.29 -0.038
C 5.95 1.39 -1.53 -0.039
C 5.84 2.75 -1.28 -0.035
C 4.66 3.29 -0.79 -0.048
C 3.57 2.47 -0.55 -0.049
H 4.26 0.07 1.95 0.122
H 4.77 -0.42 4.33 0.120
H 2.96 -0.58 5.99 0.126
H 0.47 -0.52 6.49 0.135
H -1.84 -0.30 5.61 0.120
H -2.18 0.04 3.19 0.113
H 4.93 -0.52 -1.47 0.120
H 6.87 0.97 -1.91 0.121
H 6.69 3.39 -1.46 0.120
H 4.59 4.35 -0.58 0.106
H 2.65 2.87 -0.15 0.103
C -3.52 -0.27 0.54 -0.016
O -2.42 0.64 0.33 -0.184
C -2.78 2.00 0.33 -0.176
C -4.07 2.47 0.39 -0.041
C -4.28 3.85 0.41 -0.657
Br -6.04 4.49 0.52 0.830
C -3.22 4.74 0.33 -0.032
C -1.92 4.25 0.24 -0.063
C -1.72 2.89 0.27 -0.155
O -0.44 2.33 0.30 -0.011
C -0.78 5.18 0.16 -0.281
N -0.66 6.25 0.87 0.209
C 0.55 6.81 0.48 -0.211
C 1.16 7.99 0.92 0.005
C 2.36 8.34 0.33 -0.067
C 2.94 7.55 -0.68 -0.072
C 2.36 6.37 -1.11 -0.031
C 1.16 6.02 -0.49 -0.193
N 0.31 4.93 -0.66 0.142
H -4.00 -0.06 1.49 0.115
H -3.10 -1.27 0.51 0.060
H -4.24 -0.16 -0.27 0.112
H -4.92 1.81 0.45 0.109
H -3.39 5.81 0.34 0.128
H 0.21 3.05 0.41 0.122
H 0.70 8.60 1.68 0.121
H 2.86 9.25 0.63 0.111
H 3.87 7.87 -1.13 0.110
H 2.80 5.78 -1.90 0.109
H 0.26 4.40 -1.52 0.171
O -0.60 -1.80 0.19 -0.314
P -1.01 -2.95 -0.75 0.609
N -0.97 -2.41 -2.28 -0.175
C -1.61 -1.16 -2.70 -0.179
C -1.56 -1.22 -4.23 -0.142
C -0.33 -2.08 -4.50 -0.145
C -0.46 -3.17 -3.44 -0.164
N -2.56 -3.36 -0.39 -0.207
C -3.51 -3.94 -1.35 -0.175
C -4.82 -3.87 -0.58 -0.146
C -4.42 -4.13 0.88 -0.136
C -2.90 -3.89 0.94 -0.171
N -0.04 -4.23 -0.51 -0.172
C -0.42 -5.59 -0.97 -0.172
C 0.93 -6.26 -1.22 -0.152
C 1.84 -5.60 -0.18 -0.151
C 1.42 -4.13 -0.26 -0.171
H -1.04 -0.29 -2.34 0.092
H -2.64 -1.08 -2.33 0.112
H -1.51 -0.23 -4.69 0.121
H -2.45 -1.72 -4.61 0.120
H 0.58 -1.51 -4.32 0.122
H -0.29 -2.48 -5.51 0.124
H 0.47 -3.67 -3.20 0.114
H -1.19 -3.92 -3.77 0.121
H -3.26 -4.98 -1.58 0.118
H -3.52 -3.37 -2.28 0.113
H -5.55 -4.59 -0.95 0.119
H -5.26 -2.87 -0.69 0.106
H -4.66 -5.15 1.18 0.114
H -4.95 -3.46 1.56 0.108
H -2.37 -4.82 1.14 0.110
H -2.60 -3.18 1.72 0.109
H -1.04 -5.55 -1.87 0.101
H -0.98 -6.10 -0.19 0.116
H 1.28 -6.05 -2.23 0.116
H 0.86 -7.34 -1.10 0.122
H 2.89 -5.73 -0.39 0.122
H 1.62 -6.00 0.81 0.122
~~~
5 pts. Do you have any concerns about influential observations? Briefly explain why or why not.
5 pts. Do you have any concerns with outlying observations? Briefly explain why or why not.
5 pts. Do you have any concerns about multicollinearity? Briefly explain why or why not.
5 pts. Do you have any concerns with lack-of-fit of the model? Briefly explain why or why not.
5 pts. There are 120 observations in the data set. Calculate how many degrees of freedom are
associated with the Mean squared error for the model with temperature, apgar, weight, and length.
5 pts. Interpret, in the context of this data set and model, the slope for temperature.
5 pts. Test the hypothesis that the slope for length = 0, in the model with temperature, apgar, weight,
and length. Report the test statistic and p-value.
5 pts. Write a one-sentence conclusion describing the result of the hypothesis test in the previous
5 pts. Another model using the same 4 variables is:
E Time = 25 – 0.1 Temperature – 2 Apgar + 3.1 Weight + 0.2 Length
The model fitted by JMP is better than this model. In what way is the model fitted by JMP better?
Part II: Playing a musical instrument is claimed to increase brain development. The following data were
collected on a collection of college students. They reported the number of years they had played a
musical instrument and whether that instrument was a string instrument or a wind instrument. An MRI
scan of the brain produced a measure of neuron activity called the NAI (neuronal activity index). The
investigators are interested in whether neuronal activity was increased by playing an instrument and
whether there was any difference between playing a wind or a string instrument. They fit the model:
𝐸 πΏπ‘œπ‘” 𝑁𝐴𝐼 = 𝛽0 + 𝛽1 π‘Œπ‘’π‘Žπ‘Ÿπ‘  + 𝛽2 πΌπ‘›π‘ π‘‘π‘Ÿπ‘’π‘šπ‘’π‘›π‘‘
where Years is the number of years they played and Instrument is an indicator variable with the value 0
for a wind instrument and 1 for a string instrument.
Part of the JMP Fit Model output is:
5 pts. Predict the log NAI for someone playing a string instrument for 5 years.
5 pts. Estimate the difference in log NAI between someone playing a string instrument for 5 years and
someone playing a wind instrument for 5 years.
5 pts. Test the hypothesis of no difference in log NAI between someone playing a string instrument for
5 years and someone playing a wind instrument for 5 years. Report the p-value for this test.
5 pts. For this population of students, make an inference about the effect of playing an instrument for
an additional year.
5 pts. Describe the effect of playing an instrument for a year on NAI. Note: This question asks for the
effect on untransformed NAI, not log NAI.
The investigators also fit the model that includes the interaction between Instrument and Years
𝐸 πΏπ‘œπ‘” 𝑁𝐴𝐼 = 𝛽0 + 𝛽1 π‘Œπ‘’π‘Žπ‘Ÿπ‘  + 𝛽2 πΌπ‘›π‘ π‘‘π‘Ÿπ‘’π‘šπ‘’π‘›π‘‘ + 𝛽3 πΌπ‘›π‘ π‘‘π‘Ÿπ‘’π‘šπ‘’π‘›π‘‘ ∗ π‘Œπ‘’π‘Žπ‘Ÿπ‘ 
for which the parameter estimates are:
5 pts. Give a careful interpretation of the estimated coefficient for years in the model with the
Instrument*Years interaction.
5 pts. The investigators wonder whether the difference in log NAI between string and wind instruments
is the same no matter how long they have been played. What can you tell them?